URBANA, Ill. – Every year, Punxsutawney Phil’s appearance on Feb. 2 is a reminder we are halfway through winter and shadow or no shadow spring is on its way.
Groundhogs, Marmota monax, are Illinois’ largest squirrel and one of the state’s few hibernating species. Ranging from Alabama to Alaska, groundhogs are common in rural areas and in recent years found more frequently in suburbs and cities.
“A rodent with many names, groundhogs are also known as woodchucks or, if you have traveled far enough south, whistle pigs for their alarming call,” says Peggy Doty, University of Illinois Extension energy and environmental stewardship educator. “I’ve also heard them called dirt hams.”
Groundhogs are the heavyweight of the Sciuridae family weighing in at up to 15 pounds and measuring as long as 2 feet. As the name implies, this animal spends a lot of time on or in the ground, but groundhogs will also shimmy up a tree to escape predators or to reach their favorite snack: apples.
In the winter, they dig large burrows under trees for extra protection.
“Right now, groundhogs are in a deep hibernation with their heart beating only a few times a minute,” Doty says. “We can expect to see groundhogs emerging in February after up to four months underground.”
These solitary critters will then start to move into more open areas closer to food sources such as sweet grasses and flowers and to dig their summer burrows. These large tunnels can be detrimental to livestock who can step in an entry hole and injure a leg.
Groundhogs, like many other wildlife, have adapted to urban settings as human development pushes into existing habitat and agricultural fence rows decrease. Every spring, Doty gets calls and emails from worried homeowners.
“As they move out of the forest edge, groundhogs end up in roadsides, pastures, backyards, and under sheds,” she says. “This of course can create chaos when they dig under structures or invade a garden.”
To coexist with a new groundhog neighbor, Doty suggests adding barriers, such as fencing or rocks to try to make it difficult for them to dig.
If a groundhog becomes a nuisance and needs to be removed, trapping is the suggested method. To do this, call a licensed nuisance wildlife control operator or get a permit from the Illinois Department of Natural Resources. Visit the Illinois wildlife website at www.wildlifeillinois.org for more information.
As to the age-old question – “How much wood could a woodchuck chuck if a woodchuck could chuck wood?” With its stubby front legs, the question is truly moot.
SOURCE: Peggy Doty, Extension Educator, Energy and Environmental Stewardship
(The text is interrupted by data records)
____________
No. 1
Calculated XRD peak list of Fe2PBr for λ = 1.5418 Å (Cu Kα), from a crystal structure in Alexandria, relaxed with GGA-PBE.
Neutral-atom scattering factors, no anomalous dispersion.

Principal peaks in the range 2θ from 10° to 90°, by angle:
2θ/deg	intensity
28.7	97
30.1	26
32.3	59
32.6	84
41.8	25
41.9	46
42.2	52
42.3	22
50.8	100
55.1	21

Crystal structure
```
Fe2PBr
1.0
3.1157 -1.7974 0.0000
3.1157 1.7974 0.0000
-0.0718 0.0000 5.9412
Fe P Br
2 1 1
direct
0.0000 0.0000 0.0000
0.6634 0.6634 0.7210
0.3312 0.3312 0.8303
0.6611 0.6611 0.3246
```


No. 2
Calculated XRD peak list of Fe3PbBr12 for λ = 1.5418 Å (Cu Kα), from a crystal structure in Alexandria, relaxed with GGA-PBE.
Neutral-atom scattering factors, no anomalous dispersion.

Principal peaks in the range 2θ from 10° to 90°, by angle:
2θ/deg	intensity
14.1	86
16.3	100
24.5	50
25.5	49
25.6	21
28.1	24
29.4	55
31.3	26
32.9	37
38.6	29

Crystal structure
```
Fe3PbBr12
1.0
6.0213 3.4764 12.5645
-6.0213 3.4764 12.5645
0.0000 -6.9528 12.5645
Fe Pb Br
6 2 24
direct
0.0079 0.3119 0.6803
0.1803 0.8119 0.5079
0.3119 0.6803 0.0079
0.5079 0.1803 0.8119
0.6803 0.0079 0.3119
0.8119 0.5079 0.1803
0.0109 0.0109 0.0109
0.5109 0.5109 0.5109
0.0017 0.2924 0.8625
0.0776 0.0877 0.7261
0.0877 0.7261 0.0776
0.1492 0.4109 0.4815
0.1759 0.9384 0.3006
0.2261 0.5877 0.5776
0.2924 0.8625 0.0017
0.3006 0.1759 0.9384
0.3625 0.7924 0.5017
0.4109 0.4815 0.1492
0.4384 0.6759 0.8006
0.4815 0.1492 0.4109
0.5017 0.3625 0.7924
0.5776 0.2261 0.5877
0.5877 0.5776 0.2261
0.6492 0.9815 0.9109
0.6759 0.8006 0.4384
0.7261 0.0776 0.0877
0.7924 0.5017 0.3625
0.8006 0.4384 0.6759
0.8625 0.0017 0.2924
0.9109 0.6492 0.9815
0.9384 0.3006 0.1759
0.9815 0.9109 0.6492
```


No. 3
Calculated XRD peak list of FePbBr2 for λ = 1.5418 Å (Cu Kα), from a crystal structure in Alexandria, relaxed with GGA-PBE.
Neutral-atom scattering factors, no anomalous dispersion.

Principal peaks in the range 2θ from 10° to 90°, by angle:
2θ/deg	intensity
13.7	38
18.9	54
26.7	51
27.2	100
33.2	52
34.3	92
35.6	48
39.1	27
42.2	57
49.5	34

Crystal structure
```
FePbBr2
1.0
-1.7297 2.5198 6.4853
1.7297 -2.5198 6.4853
1.7297 2.5198 -6.4853
Fe Pb Br
1 1 2
direct
0.0000 0.0000 0.0000
0.1872 0.6872 0.5000
0.5574 0.5574 0.0000
0.8593 0.3593 0.5000
```


No. 4
Calculated XRD peak list of Fe3PdBr12 for λ = 1.5418 Å (Cu Kα), from a crystal structure in Alexandria, relaxed with GGA-PBE.
Neutral-atom scattering factors, no anomalous dispersion.

Principal peaks in the range 2θ from 10° to 90°, by angle:
2θ/deg	intensity
17.3	49
18.7	97
25.6	42
28.5	100
31.1	68
35.1	55
40.1	30
45.8	61
50.5	49
59.0	38

Crystal structure
```
Fe3PdBr12
1.0
14.4643 0.0000 0.0000
-7.2322 12.5265 0.0000
0.0000 0.0000 7.2249
Fe Pd Br
6 2 24
direct
0.1414 0.4381 0.2500
0.2967 0.8586 0.2500
0.4381 0.2967 0.7500
0.5619 0.7033 0.2500
0.7033 0.1414 0.7500
0.8586 0.5619 0.7500
0.3333 0.6667 0.7500
0.6667 0.3333 0.2500
0.0183 0.4940 0.2500
0.0707 0.2575 0.2500
0.1869 0.9293 0.2500
0.2470 0.7492 0.5161
____________
WRITER: Emily Steele, Media Communications Coordinator
ABOUT EXTENSION: Illinois Extension leads public outreach for University of Illinois by translating research into action plans that allow Illinois families, businesses, and community leaders to solve problems, make informed decisions, and adapt to changes and opportunities.